A degree in fine art with a major in photography has been one of the long-standing pathways of entering a photography career.
At the end of your degree, you’ll end up with a good-looking portfolio, as well as skills that enable you to translate ideas into photographic art.

Is it a good idea? Is studying 3-4 years going to get you a job? What other skills do you need?
Calculated crystals that have nothing to do with the entry.
/*
[1]
## Mg6NbVO8 (PBE with a Hubbard U)

Data for Mg6NbVO8 after structural relaxation.

abc: 4.3350 4.3350 8.7716
angles: 90.00 90.00 90.00
With the nearest neighbours (Å) after each atom.
Space group P4/mmm (No. 123)
Asymmetric unit:
Mg (0.0000, 0.0000, 0.0000)  6 O 2.17-2.20
Mg (0.0000, 0.0000, 0.5000)  6 O 2.17-2.19
Mg (0.0000, 0.5000, 0.2462)  6 O 2.16-2.23
Nb (0.5000, 0.5000, 0.5000)  6 O 2.17-2.26
V (0.5000, 0.5000, 0.0000)  6 O 2.13-2.17
O (0.0000, 0.0000, 0.2509)  6 Mg 2.17-2.20
O (0.0000, 0.5000, 0.0000)  4 Mg 2.16-2.17, 2 V 2.17
O (0.0000, 0.5000, 0.5000)  2 Nb 2.17, 4 Mg 2.17-2.23
O (0.5000, 0.5000, 0.2426)  1 V 2.13, 4 Mg 2.17, 1 Nb 2.26

Output
E_tot: -6.440 eV per atom
Excess energy over the best structure of this formula in the dataset: 31 meV per atom
Formation enthalpy at 0 K: -2.62 eV per atom
V: 10.3 Å³ per atom
ρ: 4.2 g/cm³

***

[2]
## MgNb4VO12 (PBE with a Hubbard U)

Data for MgNb4VO12 after structural relaxation.

abc: 5.3156 5.6622 7.7709
angles: 85.10 89.95 89.81
With the nearest neighbours (Å) after each atom.
Space group P1 (No. 1)
Asymmetric unit:
Mg (0.0000, 0.0000, 0.0000)  6 O 2.07-2.16
Nb (0.9996, 0.5820, 0.2921)  3 O 1.89-1.90
Nb (0.4990, 0.0804, 0.7896)  3 O 1.88-1.90
Nb (0.5008, 0.0718, 0.2838)  3 O 1.91
Nb (0.9967, 0.5721, 0.7901)  3 O 1.91-1.92
V (0.5004, 0.4887, 0.4965)  6 O 2.13-2.14
O (0.0836, 0.6284, 0.0556)  1 Nb 1.89
O (0.1993, 0.9081, 0.7739)  1 Nb 1.88
O (0.2156, 0.3213, 0.3571)  1 Nb 1.90
O (0.3130, 0.4273, 0.7397)  1 Nb 1.92, 1 V 2.14
O (0.3221, 0.7936, 0.3701)  1 Nb 1.91, 1 V 2.13
O (0.3598, 0.1070, 0.0573)  1 Nb 1.91, 1 Mg 2.07
O (0.5887, 0.1231, 0.5523)  1 Nb 1.90
O (0.6966, 0.4092, 0.2688)  1 Nb 1.90
O (0.7214, 0.8275, 0.8575)  1 Nb 1.89
O (0.8172, 0.9311, 0.2339)  1 Nb 1.91, 1 Mg 2.07
O (0.8204, 0.2925, 0.8762)  1 Nb 1.91, 1 Mg 2.07
O (0.8668, 0.6099, 0.5589)  1 Nb 1.92, 1 V 2.14

Output
E_tot: -8.516 eV per atom
Excess energy over the best structure of this formula in the dataset: 4 meV per atom
Formation enthalpy at 0 K: -2.93 eV per atom
V: 12.9 Å³ per atom
ρ: 4.6 g/cm³

***

[3]
## MgNbV3O8 (PBE with a Hubbard U)

Data for MgNbV3O8 after structural relaxation.

abc: 4.0006 6.6352 6.7744
angles: 105.99 90.01 107.40
With the nearest neighbours (Å) after each atom.
Space group P1 (No. 1)
Asymmetric unit:
Mg (0.0000, 0.0000, 0.0000)  4 O 2.00-2.06
Nb (0.8294, 0.6531, 0.3024)  2 O 1.79-1.89
V (0.4223, 0.8421, 0.7072)  5 O 1.95-2.07
V (0.5320, 0.0629, 0.3433)  4 O 1.92-2.06
V (0.7361, 0.4643, 0.7092)  6 O 1.97-2.15
O (0.2714, 0.5362, 0.7148)  3 V 1.95-2.05
O (0.3682, 0.7321, 0.3683)  2 Nb 2.08, 2 V 2.15-2.20
O (0.5023, 0.0045, 0.0107)  2 Mg 2.00, 2 V 2.02-2.18
O (0.5722, 0.1404, 0.6387)  3 V 1.92-2.07
O (0.6996, 0.3933, 0.3853)  1 Nb 1.89, 2 V 2.03-2.11
O (0.7743, 0.5408, 0.0274)  1 Nb 1.79
O (0.9023, 0.8015, 0.7004)  3 V 2.02-2.15, 1 Mg 2.06
O (0.9959, 0.9905, 0.2950)  1 Mg 2.02, 2 V 2.06, 1 Nb 2.15

Output
E_tot: -7.870 eV per atom
*/
So much for the calculated crystals.
There are plenty of successful professional photographers who started that way. But that was yesterday. Here are quick 3 reasons why I think today you have better alternatives.
1. A Degree Doesn’t Prepare You For The Real World.
Shooting as a job is very different to shooting as a hobby. Sure, as part of a photography degree you’ll have to do some projects which simulate a real-world
For example, you’ll probably need to do a project where you produce a piece of work that satisfies a brief. And that’s a step in the right direction.
But it won’t teach you how to deal with bored or annoyed customers, wardrobe malfunctions, a camera which suddenly refuses to autofocus, sick assistants
who can’t make it at the last second, unexpected lighting situations, people and situations you feel intimidated by and all your own internal mental mumbo-jumbo – all the things which, when you’re shooting, you’ll have to deal with.
2. A Degree Doesn’t Teach You Business Skills.
Again, some courses will probably touch on teaching you some business skills.
But for the most part, it will just be a drop in the ocean, an an outdated one at that. The advances in business and technology get incorporated into tertiary curriculums at a glacial rate.
By the time next year’s business books are printed, the kids with their iPads hooked up to a subscription of Harvard Business Review and updates from blogs by Matt Cutts and Seth Godin are miles ahead.
I think if you ask most university business professors what Penguin and Panda are they’ll, firstly, thank you for your interest in welfare of endangered animals and, second, refer you to their colleagues in the Zoology department.
You need to be up to speed in both the technical aspects of business advancement and the philosophies that are driving them. In other words, you need to look at the changes, but you also need to understand why these changes are taking place.
This will allow you to predict which changes are coming up next – and that is the main skill that will help you to outmanoeuvre your competition.
3. A Degree Doesn’t Help You Grow.
If you read my stuff regularly, you know I’m big on being aware of motivations which underpin everything you do.
In short, the quickest way to grow as a photographer is to grow as a human being. For a long explanation of this, read this Squidoo page about How To Become A Successful Professional Photographer
Your willingness to give love and be a contribution, as well as an ability to live a rich, rewarding, fulfilling life, will directly influence your ability to become a
successful photographer.
As a starting point, ask yourself – what drives you? What makes you get out of bed every morning? And be honest with yourself. Most people walk around telling themselves and others that they want to be achievers while in reality they want to be accepted, validated and look better than the other guy.
I spent many years being driven by those motivations, and I still sometimes find myself there. And any business and creative decisions I make when I’m driven by those kind of ambitions are usually not very valuable ones.
Where do you start if you want to grow? Well, you can’t change anything that you’re not aware of. So, step one is awareness. For the next week, stop at various points of the day and ask yourself – why am I really doing this? Give yourself a brutally honest answer. You know you’re hitting a nail on the head if the answer is not a particularly pretty one.
See how long it will take you to catch yourself being driven by the same, unempowering, destructive ambition again.
If you pay attention to yourself enough, you’ll be amazed at how much your brain pulls you into a land of trying to prove something, trying to complain about something, trying to make you temporarily happy by daydreaming about cars, women, men, fashion, alcohol – whatever your thing is.
Start making changes in your life which help you generate happiness, power and freedom from within, instead of relying on your environment to prop you up. I think for specific advice on how to do that we’ll need a whole new post. Stay tuned.
There are many reasons, indeed. A major never helps for being a highly-valued photographer. In private universities, you pa for diploma, anyhow you will be graduated 🙂
Good approach, thanks for sharing..
1. Actually, internships for photo students gives real world experience. They can intern or coop over summer or while they are in classes (depends on the program). They can get experience working in different types of studios/jobs (fashion, news, etc.) or work situations (small studio assistant versus at a company or in house photog). This sampling while interning is great because then you really do know what you enjoy or want to do in the profession.
Most interns end up being hired by the company they interned for.0
Even with out an intern option, many student photographers work as photographers while they get their degree.
2. Any photo program worth attending will also have required courses in other departments and colleges, like business. Indeed, this is another advantage to a degree: your mind is expanded and exposed to other ways of thinking. For instance, if you are a photo major and can take art history from ancient to Modern, you should! Also consider other art areas, film/video, design, business for non business majors, American Studies (AKA media studies – all about pop culture, film, and IMAGES but more contemporary), and just useful/mind expanding things like psychology, math, science, etc.
3. College is essentially a way to grow to adulthood faster. It is all about growing. It gives you a lead in life, business, and creativity. You can engage in critical thought and know history so you don’t repeat what has been done (or if you do, you know what you are doing!)
Last but not least, from 2007 to 2012, photography job postings requiring a Bachelors Degree increased 36%: